Duplicate the rows below unchanged.

This entry pairs a crystal structure of Pu2UGa with its simulated PXRD pattern. Radiation: copper Kα. Structure: a DFT-relaxed cell (GGA-PBE, Alexandria).
Neutral-atom scattering factors, no anomalous dispersion.

Most intense lines, 2θ from 10° to 90°, in order of rising 2θ:
| 2θ/deg | Rel. int. |
| --- | --- |
| 11.1 | 14 |
| 22.2 | 17 |
| 22.4 | 11 |
| 29.7 | 16 |
| 35.8 | 100 |
| 39.5 | 55 |
| 45.8 | 11 |
| 54.0 | 23 |
| 57.1 | 19 |
| 69.2 | 30 |
| 82.4 | 14 |
| 84.1 | 9 |

Structure:
```
data_Pu2UGa
_cell_length_a 4.564
_cell_length_b 4.564
_cell_length_c 7.993
_cell_angle_alpha 90.00
_cell_angle_beta 90.00
_cell_angle_gamma 90.00
_space_group_name_H-M_alt 'P 1'
_space_group_IT_number 1
loop_
_space_group_symop_operation_xyz
'x,y,z'
loop_
_atom_site_label
_atom_site_fract_x
_atom_site_fract_y
_atom_site_fract_z
Pu1 0.250 0.750 0.000
Pu2 0.250 0.750 0.500
Pu3 0.750 0.250 0.000
Pu4 0.750 0.250 0.500
U1 0.250 0.250 0.161
U2 0.750 0.750 0.839
Ga1 0.250 0.250 0.756
Ga2 0.750 0.750 0.244
```

This entry pairs a crystal structure of SmZrGa2 with its simulated PXRD pattern. Radiation: copper Kα. Structure: a DFT-relaxed cell (GGA-PBE, Alexandria).
Neutral-atom scattering factors, no anomalous dispersion.

Most intense lines, 2θ from 10° to 90°, in order of rising 2θ:
| 2θ/deg | Rel. int. |
| --- | --- |
| 22.0 | 5 |
| 25.4 | 8 |
| 36.2 | 100 |
| 42.8 | 3 |
| 44.8 | 2 |
| 52.2 | 17 |
| 57.3 | 1 |
| 58.9 | 3 |
| 65.2 | 35 |
| 76.9 | 11 |
| 82.5 | 1 |
| 88.1 | 15 |

Structure:
```
data_SmZrGa2
_cell_length_a 4.959
_cell_length_b 4.959
_cell_length_c 4.959
_cell_angle_alpha 60.00
_cell_angle_beta 60.00
_cell_angle_gamma 60.00
_space_group_name_H-M_alt 'P 1'
_space_group_IT_number 1
loop_
_space_group_symop_operation_xyz
'x,y,z'
loop_
_atom_site_label
_atom_site_fract_x
_atom_site_fract_y
_atom_site_fract_z
Sm1 0.000 0.000 0.000
Zr1 0.500 0.500 0.500
Ga1 0.250 0.250 0.250
Ga2 0.750 0.750 0.750
```

=====

Record 1
Diffraction record for La2Pr2N2Cl5. The PXRD pattern is calculated, not measured: it uses a structure optimized by DFT (GGA-PBE) and Cu Kα (λ = 1.5418 Å).
Kinematic intensities with the Lorentz-polarization factor, no thermal factor.

The 8 most intense peaks (5° ≤ 2θ ≤ 70°), most intense first:
2θ/deg, intensity
33.3, 100
28.5, 67
42.4, 66
12.2, 63
31.4, 62
37.1, 53
24.5, 52
28.7, 37

Cell and atoms:
```
La2Pr2N2Cl5
1.0
-1.8561 4.0128 8.5354
1.8561 -4.0128 8.5354
1.8561 4.0128 -8.5354
La Pr N Cl
2 2 2 5
direct
0.1789 0.1789 0.0000 La
0.8211 0.8211 0.0000 La
0.2070 0.5000 0.7070 Pr
0.7930 0.5000 0.2930 Pr
0.0411 0.0411 0.0000 N
0.9589 0.9589 0.0000 N
0.1233 0.3347 0.7885 Cl
0.4538 0.6653 0.7885 Cl
0.5000 0.0000 0.5000 Cl
0.5462 0.3347 0.2115 Cl
0.8767 0.6653 0.2115 Cl
```


Record 2
Diffraction record for Cu2H7C8SI4N2. The PXRD pattern is calculated, not measured: it uses a structure optimized by DFT (GGA-PBE) and Cu Kα (λ = 1.5418 Å).
Kinematic intensities with the Lorentz-polarization factor, no thermal factor.

The 8 most intense peaks (5° ≤ 2θ ≤ 70°), most intense first:
2θ/deg, intensity
9.0, 100
23.2, 42
26.6, 38
7.9, 28
26.1, 21
27.5, 19
40.7, 15
8.0, 15

Cell and atoms:
```
Cu2H7C8SI4N2
1.0
5.8789 0.0000 0.0000
-0.6996 11.8063 0.0000
-1.6013 -4.4261 11.2525
Cu H C S I N
4 14 16 2 8 4
direct
0.0165 0.1441 0.0716 Cu
0.4521 0.8547 0.9276 Cu
0.5479 0.1453 0.0724 Cu
0.9835 0.8559 0.9284 Cu
0.0078 0.2466 0.8231 H
0.1136 0.1888 0.4618 H
0.2496 0.5614 0.2963 H
0.2715 0.5564 0.1488 H
0.3718 0.3863 0.8938 H
0.4144 0.4539 0.2068 H
0.4749 0.3344 0.5488 H
0.5251 0.6656 0.4512 H
0.5856 0.5461 0.7932 H
0.6282 0.6137 0.1062 H
0.7285 0.4436 0.8512 H
0.7504 0.4386 0.7037 H
0.8864 0.8112 0.5382 H
0.9922 0.7534 0.1769 H
0.0296 0.2044 0.6348 C
0.1049 0.2612 0.7579 C
0.1650 0.2307 0.5578 C
0.1809 0.8778 0.4147 C
0.3051 0.3408 0.7996 C
0.3619 0.5461 0.2288 C
0.3636 0.3108 0.6043 C
0.4620 0.9922 0.5497 C
0.5380 0.0078 0.4503 C
0.6364 0.6892 0.3957 C
0.6381 0.4539 0.7712 C
0.6949 0.6592 0.2004 C
0.8191 0.1222 0.5853 C
0.8350 0.7693 0.4422 C

This entry pairs a crystal structure of Pu2UGa with its simulated PXRD pattern. Radiation: copper Kα. Structure: a DFT-relaxed cell (GGA-PBE, Alexandria).
Neutral-atom scattering factors, no anomalous dispersion.

Most intense lines, 2θ from 10° to 90°, in order of rising 2θ:
| 2θ/deg | Rel. int. |
| --- | --- |
| 11.1 | 14 |
| 22.2 | 17 |
| 22.4 | 11 |
| 29.7 | 16 |
| 35.8 | 100 |
| 39.5 | 55 |
| 45.8 | 11 |
| 54.0 | 23 |
| 57.1 | 19 |
| 69.2 | 30 |
| 82.4 | 14 |
| 84.1 | 9 |

Structure:
```
data_Pu2UGa
_cell_length_a 4.564
_cell_length_b 4.564
_cell_length_c 7.993
_cell_angle_alpha 90.00
_cell_angle_beta 90.00
_cell_angle_gamma 90.00
_space_group_name_H-M_alt 'P 1'
_space_group_IT_number 1
loop_
_space_group_symop_operation_xyz
'x,y,z'
loop_
_atom_site_label
_atom_site_fract_x
_atom_site_fract_y
_atom_site_fract_z
Pu1 0.250 0.750 0.000
Pu2 0.250 0.750 0.500
Pu3 0.750 0.250 0.000
Pu4 0.750 0.250 0.500
U1 0.250 0.250 0.161
U2 0.750 0.750 0.839
Ga1 0.250 0.250 0.756
Ga2 0.750 0.750 0.244
```

This entry pairs a crystal structure of SmZrGa2 with its simulated PXRD pattern. Radiation: copper Kα. Structure: a DFT-relaxed cell (GGA-PBE, Alexandria).
Neutral-atom scattering factors, no anomalous dispersion.

Most intense lines, 2θ from 10° to 90°, in order of rising 2θ:
| 2θ/deg | Rel. int. |
| --- | --- |
| 22.0 | 5 |
| 25.4 | 8 |
| 36.2 | 100 |
| 42.8 | 3 |
| 44.8 | 2 |
| 52.2 | 17 |
| 57.3 | 1 |
| 58.9 | 3 |
| 65.2 | 35 |
| 76.9 | 11 |
| 82.5 | 1 |
| 88.1 | 15 |

Structure:
```
data_SmZrGa2
_cell_length_a 4.959
_cell_length_b 4.959
_cell_length_c 4.959
_cell_angle_alpha 60.00
_cell_angle_beta 60.00
_cell_angle_gamma 60.00
_space_group_name_H-M_alt 'P 1'
_space_group_IT_number 1
loop_
_space_group_symop_operation_xyz
'x,y,z'
loop_
_atom_site_label
_atom_site_fract_x
_atom_site_fract_y
_atom_site_fract_z
Sm1 0.000 0.000 0.000
Zr1 0.500 0.500 0.500
Ga1 0.250 0.250 0.250
Ga2 0.750 0.750 0.750
```

=====

Record 1
Diffraction record for La2Pr2N2Cl5. The PXRD pattern is calculated, not measured: it uses a structure optimized by DFT (GGA-PBE) and Cu Kα (λ = 1.5418 Å).
Kinematic intensities with the Lorentz-polarization factor, no thermal factor.

The 8 most intense peaks (5° ≤ 2θ ≤ 70°), most intense first:
2θ/deg, intensity
33.3, 100
28.5, 67
42.4, 66
12.2, 63
31.4, 62
37.1, 53
24.5, 52
28.7, 37

Cell and atoms:
```
La2Pr2N2Cl5
1.0
-1.8561 4.0128 8.5354
1.8561 -4.0128 8.5354
1.8561 4.0128 -8.5354
La Pr N Cl
2 2 2 5
direct
0.1789 0.1789 0.0000 La
0.8211 0.8211 0.0000 La
0.2070 0.5000 0.7070 Pr
0.7930 0.5000 0.2930 Pr
0.0411 0.0411 0.0000 N
0.9589 0.9589 0.0000 N
0.1233 0.3347 0.7885 Cl
0.4538 0.6653 0.7885 Cl
0.5000 0.0000 0.5000 Cl
0.5462 0.3347 0.2115 Cl
0.8767 0.6653 0.2115 Cl
```


Record 2
Diffraction record for Cu2H7C8SI4N2. The PXRD pattern is calculated, not measured: it uses a structure optimized by DFT (GGA-PBE) and Cu Kα (λ = 1.5418 Å).
Kinematic intensities with the Lorentz-polarization factor, no thermal factor.

The 8 most intense peaks (5° ≤ 2θ ≤ 70°), most intense first:
2θ/deg, intensity
9.0, 100
23.2, 42
26.6, 38
7.9, 28
26.1, 21
27.5, 19
40.7, 15
8.0, 15

Cell and atoms:
```
Cu2H7C8SI4N2
1.0
5.8789 0.0000 0.0000
-0.6996 11.8063 0.0000
-1.6013 -4.4261 11.2525
Cu H C S I N
4 14 16 2 8 4
direct
0.0165 0.1441 0.0716 Cu
0.4521 0.8547 0.9276 Cu
0.5479 0.1453 0.0724 Cu
0.9835 0.8559 0.9284 Cu
0.0078 0.2466 0.8231 H
0.1136 0.1888 0.4618 H
0.2496 0.5614 0.2963 H
0.2715 0.5564 0.1488 H
0.3718 0.3863 0.8938 H
0.4144 0.4539 0.2068 H
0.4749 0.3344 0.5488 H
0.5251 0.6656 0.4512 H
0.5856 0.5461 0.7932 H
0.6282 0.6137 0.1062 H
0.7285 0.4436 0.8512 H
0.7504 0.4386 0.7037 H
0.8864 0.8112 0.5382 H
0.9922 0.7534 0.1769 H
0.0296 0.2044 0.6348 C
0.1049 0.2612 0.7579 C
0.1650 0.2307 0.5578 C
0.1809 0.8778 0.4147 C
0.3051 0.3408 0.7996 C
0.3619 0.5461 0.2288 C
0.3636 0.3108 0.6043 C
0.4620 0.9922 0.5497 C
0.5380 0.0078 0.4503 C
0.6364 0.6892 0.3957 C
0.6381 0.4539 0.7712 C
0.6949 0.6592 0.2004 C
0.8191 0.1222 0.5853 C
0.8350 0.7693 0.4422 C